What is needed: write out the whole of the rows further down character by character.

~~~
Below is an optimized crystal structure of Pm2Ge3Pd, with properties calculated at the PBE-GGA level.

V in Å³/cell: 1056
Calculated density in kg/m³: 7729
Total energy in eV for the cell shown: -269.13

abc: 8.373 8.528 14.788
angles: 90.00 90.00 90.00
Space group Fmmm (No. 69)
Inequivalent atoms, fractional coordinates:
Pm (0.246, 0.000, 0.000) [8 per cell]
Pm (0.250, 0.250, 0.250) [8 per cell]
Ge (0.000, 0.000, 0.168) [8 per cell]
Ge (0.000, 0.247, 0.416) [16 per cell]
Pd (0.000, 0.000, 0.333) [8 per cell]
~~~

Below is an optimized crystal structure of Pm2Ge3Pd, with properties calculated at the PBE-GGA level.

V in Å³/cell: 1056
Calculated density in kg/m³: 7729
Total energy in eV for the cell shown: -269.13

abc: 8.373 8.528 14.788
angles: 90.00 90.00 90.00
Space group Fmmm (No. 69)
Inequivalent atoms, fractional coordinates:
Pm (0.246, 0.000, 0.000) [8 per cell]
Pm (0.250, 0.250, 0.250) [8 per cell]
Ge (0.000, 0.000, 0.168) [8 per cell]
Ge (0.000, 0.247, 0.416) [16 per cell]
Pd (0.000, 0.000, 0.333) [8 per cell]